Given:
/*
Fe6Ni9S20 after structural relaxation. Source: the Materials Project, functional PBE-GGA.

As for the volume: 1033.7 Å³ per cell. As for the distance to the lowest polymorph of the same formula: 0.0 meV/atom. The uncorrected energy comes out at -5.71 eV per atom. The calculation puts the energy relative to the elements at -24.30 eV per formula unit.

Unit cell a=6.5792 b=6.6764 c=27.2303 alpha=96.33 beta=90.21 gamma=119.37
Positions (direct):
Fe: 0.0000 0.0000 0.0000
Fe: 0.0016 0.5064 0.4964
Fe: 0.1127 0.7070 0.2962
Fe: 0.1834 0.9080 0.0929
Fe: 0.2008 0.3987 0.6005
Fe: 0.3978 0.3071 0.6955
Fe: 0.4802 0.9611 0.4231
Fe: 0.5936 0.7074 0.2965
Fe: 0.6043 0.2136 0.7927
Fe: 0.7197 0.9088 0.0935
Fe: 0.8037 0.1070 0.8958
Fe: 0.9068 0.3070 0.6957
Ni: 0.0036 0.0086 0.4967
Ni: 0.0777 0.1585 0.2212
Ni: 0.1263 0.2510 0.3712
Ni: 0.2061 0.4173 0.0959
Ni: 0.2807 0.5648 0.8219
Ni: 0.3019 0.1070 0.8958
Ni: 0.3249 0.6509 0.9700
Ni: 0.4028 0.8088 0.1951
Ni: 0.4040 0.8095 0.6963
Ni: 0.5001 0.5048 0.4965
Ni: 0.5248 0.0492 0.5707
Ni: 0.6053 0.2110 0.2969
Ni: 0.6714 0.3498 0.0193
Ni: 0.7237 0.4503 0.1710
Ni: 0.8018 0.6061 0.3966
Ni: 0.8021 0.6064 0.8959
Ni: 0.8747 0.7532 0.6202
Ni: 0.9288 0.8566 0.7717
S: 0.0530 0.1101 0.1409
S: 0.0562 0.1159 0.6481
S: 0.0627 0.5965 0.6479
S: 0.0708 0.6246 0.1434
S: 0.1339 0.2786 0.9454
S: 0.1394 0.8174 0.9455
S: 0.1409 0.7965 0.4485
S: 0.1516 0.3110 0.4517
S: 0.2511 0.5037 0.7416
S: 0.2636 0.5289 0.2473
S: 0.2642 0.9963 0.2486
S: 0.2728 0.0194 0.7442
S: 0.3308 0.2019 0.0476
S: 0.3319 0.6755 0.5461
S: 0.3397 0.2170 0.5467
S: 0.3593 0.7238 0.0506
S: 0.4522 0.9055 0.3447
S: 0.4651 0.3966 0.8463
S: 0.4720 0.4203 0.3441
S: 0.4719 0.9371 0.8464
S: 0.5326 0.5977 0.6481
S: 0.5378 0.0804 0.1410
S: 0.5494 0.6242 0.1434
S: 0.5567 0.1159 0.6510
S: 0.6516 0.2989 0.9400
S: 0.6592 0.8021 0.4476
S: 0.6649 0.3212 0.4483
S: 0.6770 0.8227 0.9450
S: 0.7301 0.9961 0.2485
S: 0.7455 0.0199 0.7446
S: 0.7452 0.4918 0.7431
S: 0.7590 0.5196 0.2518
S: 0.8513 0.7001 0.5404
S: 0.8521 0.7109 0.0456
S: 0.8657 0.2006 0.0473
S: 0.8784 0.2236 0.5459
S: 0.9281 0.3911 0.8467
S: 0.9405 0.8813 0.3435
S: 0.9476 0.4211 0.3444
S: 0.9520 0.9118 0.8512

FeNi2S4 after structural relaxation. Source: the Materials Project, functional PBE-GGA.

As for the volume: 206.5 Å³ per cell. As for the distance to the lowest polymorph of the same formula: 44.7 meV/atom. The uncorrected energy comes out at -5.59 eV per atom. The calculation puts the energy relative to the elements at -4.59 eV per formula unit.

Unit cell a=6.6341 b=6.6341 c=6.6341 alpha=60.00 beta=60.00 gamma=60.00
Positions (direct):
Fe: 0.1250 0.1250 0.1250
Fe: 0.8750 0.8750 0.8750
Ni: 0.0000 0.5000 0.5000
Ni: 0.5000 0.0000 0.5000
Ni: 0.5000 0.5000 0.0000
Ni: 0.5000 0.5000 0.5000
S: 0.2552 0.2552 0.2552
S: 0.2552 0.2552 0.7345
S: 0.2552 0.7345 0.2552
S: 0.2655 0.7448 0.7448
S: 0.7345 0.2552 0.2552
S: 0.7448 0.2655 0.7448
S: 0.7448 0.7448 0.2655
S: 0.7448 0.7448 0.7448

FeNiS2 after structural relaxation. Source: the Materials Project, functional PBE-GGA.

As for the volume: 368.0 Å³ per cell. The uncorrected energy comes out at -5.80 eV per atom. The calculation puts the energy relative to the elements at -1.67 eV per formula unit.

Unit cell a=8.0501 b=8.0501 c=8.0501 alpha=120.25 beta=89.73 gamma=120.06
Positions (direct):
Fe: 0.2498 0.0000 0.2498
Fe: 0.3501 0.1951 0.8450
Fe: 0.3501 0.5051 0.1550
Fe: 0.7502 0.0000 0.7502
Ni: 0.3325 0.5045 0.8280
Ni: 0.6745 0.5036 0.8291
Ni: 0.6745 0.8455 0.1709
Ni: 0.6765 0.5045 0.1720
S: 0.0856 0.2285 0.8571
S: 0.3694 0.2338 0.5855
S: 0.3694 0.7839 0.1356
S: 0.3713 0.2285 0.1429
S: 0.6423 0.7784 0.8639
S: 0.6483 0.2338 0.8644
S: 0.6483 0.7839 0.4145
S: 0.9145 0.7784 0.1361
*/
Brief:
It remains to quote the whole of the entries further up unchanged.
Here it is:
Fe6Ni9S20 after structural relaxation. Source: the Materials Project, functional PBE-GGA.

As for the volume: 1033.7 Å³ per cell. As for the distance to the lowest polymorph of the same formula: 0.0 meV/atom. The uncorrected energy comes out at -5.71 eV per atom. The calculation puts the energy relative to the elements at -24.30 eV per formula unit.

Unit cell a=6.5792 b=6.6764 c=27.2303 alpha=96.33 beta=90.21 gamma=119.37
Positions (direct):
Fe: 0.0000 0.0000 0.0000
Fe: 0.0016 0.5064 0.4964
Fe: 0.1127 0.7070 0.2962
Fe: 0.1834 0.9080 0.0929
Fe: 0.2008 0.3987 0.6005
Fe: 0.3978 0.3071 0.6955
Fe: 0.4802 0.9611 0.4231
Fe: 0.5936 0.7074 0.2965
Fe: 0.6043 0.2136 0.7927
Fe: 0.7197 0.9088 0.0935
Fe: 0.8037 0.1070 0.8958
Fe: 0.9068 0.3070 0.6957
Ni: 0.0036 0.0086 0.4967
Ni: 0.0777 0.1585 0.2212
Ni: 0.1263 0.2510 0.3712
Ni: 0.2061 0.4173 0.0959
Ni: 0.2807 0.5648 0.8219
Ni: 0.3019 0.1070 0.8958
Ni: 0.3249 0.6509 0.9700
Ni: 0.4028 0.8088 0.1951
Ni: 0.4040 0.8095 0.6963
Ni: 0.5001 0.5048 0.4965
Ni: 0.5248 0.0492 0.5707
Ni: 0.6053 0.2110 0.2969
Ni: 0.6714 0.3498 0.0193
Ni: 0.7237 0.4503 0.1710
Ni: 0.8018 0.6061 0.3966
Ni: 0.8021 0.6064 0.8959
Ni: 0.8747 0.7532 0.6202
Ni: 0.9288 0.8566 0.7717
S: 0.0530 0.1101 0.1409
S: 0.0562 0.1159 0.6481
S: 0.0627 0.5965 0.6479
S: 0.0708 0.6246 0.1434
S: 0.1339 0.2786 0.9454
S: 0.1394 0.8174 0.9455
S: 0.1409 0.7965 0.4485
S: 0.1516 0.3110 0.4517
S: 0.2511 0.5037 0.7416
S: 0.2636 0.5289 0.2473
S: 0.2642 0.9963 0.2486
S: 0.2728 0.0194 0.7442
S: 0.3308 0.2019 0.0476
S: 0.3319 0.6755 0.5461
S: 0.3397 0.2170 0.5467
S: 0.3593 0.7238 0.0506
S: 0.4522 0.9055 0.3447
S: 0.4651 0.3966 0.8463
S: 0.4720 0.4203 0.3441
S: 0.4719 0.9371 0.8464
S: 0.5326 0.5977 0.6481
S: 0.5378 0.0804 0.1410
S: 0.5494 0.6242 0.1434
S: 0.5567 0.1159 0.6510
S: 0.6516 0.2989 0.9400
S: 0.6592 0.8021 0.4476
S: 0.6649 0.3212 0.4483
S: 0.6770 0.8227 0.9450
S: 0.7301 0.9961 0.2485
S: 0.7455 0.0199 0.7446
S: 0.7452 0.4918 0.7431
S: 0.7590 0.5196 0.2518
S: 0.8513 0.7001 0.5404
S: 0.8521 0.7109 0.0456
S: 0.8657 0.2006 0.0473
S: 0.8784 0.2236 0.5459
S: 0.9281 0.3911 0.8467
S: 0.9405 0.8813 0.3435
S: 0.9476 0.4211 0.3444
S: 0.9520 0.9118 0.8512

FeNi2S4 after structural relaxation. Source: the Materials Project, functional PBE-GGA.

As for the volume: 206.5 Å³ per cell. As for the distance to the lowest polymorph of the same formula: 44.7 meV/atom. The uncorrected energy comes out at -5.59 eV per atom. The calculation puts the energy relative to the elements at -4.59 eV per formula unit.

Unit cell a=6.6341 b=6.6341 c=6.6341 alpha=60.00 beta=60.00 gamma=60.00
Positions (direct):
Fe: 0.1250 0.1250 0.1250
Fe: 0.8750 0.8750 0.8750
Ni: 0.0000 0.5000 0.5000
Ni: 0.5000 0.0000 0.5000
Ni: 0.5000 0.5000 0.0000
Ni: 0.5000 0.5000 0.5000
S: 0.2552 0.2552 0.2552
S: 0.2552 0.2552 0.7345
S: 0.2552 0.7345 0.2552
S: 0.2655 0.7448 0.7448
S: 0.7345 0.2552 0.2552
S: 0.7448 0.2655 0.7448
S: 0.7448 0.7448 0.2655
S: 0.7448 0.7448 0.7448

FeNiS2 after structural relaxation. Source: the Materials Project, functional PBE-GGA.

As for the volume: 368.0 Å³ per cell. The uncorrected energy comes out at -5.80 eV per atom. The calculation puts the energy relative to the elements at -1.67 eV per formula unit.

Unit cell a=8.0501 b=8.0501 c=8.0501 alpha=120.25 beta=89.73 gamma=120.06
Positions (direct):
Fe: 0.2498 0.0000 0.2498
Fe: 0.3501 0.1951 0.8450
Fe: 0.3501 0.5051 0.1550
Fe: 0.7502 0.0000 0.7502
Ni: 0.3325 0.5045 0.8280
Ni: 0.6745 0.5036 0.8291
Ni: 0.6745 0.8455 0.1709
Ni: 0.6765 0.5045 0.1720
S: 0.0856 0.2285 0.8571
S: 0.3694 0.2338 0.5855
S: 0.3694 0.7839 0.1356
S: 0.3713 0.2285 0.1429
S: 0.6423 0.7784 0.8639
S: 0.6483 0.2338 0.8644
S: 0.6483 0.7839 0.4145
S: 0.9145 0.7784 0.1361